
Olivia is a devoted mother to three beautiful children, Elliot, Ethan, and Coralia. Olivia is a stay-at-home mother. Her family deeply values their Christian faith. Olivia’s personal journey as a mother of three and her past trauma experiences with six miscarriages, infertility, depression, postpartum depression, and anxiety are what lead her to create Postpartum Mamas.
Olivia has created the Postpartum Mamas Mental Health Support group Program as well as a nine-month mental health curriculum discussing topics such as Suicide Awareness in September to Postpartum Depression & Domestic Violence in October as well as Infertility & Miscarriage in November. The Postpartum Mamas program is currently serving mothers residing in various states and has been integrated in Pathway Health Clinic, CA to assist postpartum patients and mothers with mental health support as well as Chapel Hill Church in Gig Harbor, Wa.
Olivia's goals are to integrate our valued mental health program into many more facilities statewide & continue to serve mothers in need of better postpartum and mental health support. Olivia also created the Postpartum Mamas Mental Health Fund in hopes to assist mothers with various crisis needs and has assisted with donations within our Mamas Mental Health Fund thus far assisting with educational, housing, food and mental health assistance.
She has personally experienced depression, anxiety, and six miscarriages including ectopic and blighted ovum pregnancies, domestic violence, single motherhood, and represented herself in trial in the judicial court system through an abusive divorce and received 100% custody of her 3 children.
Olivia Sheridan has the heart to help those who do not have the resources to help themselves as she has personally been though the very painful but necessary journey many of her mothers are currently struggling with. She is Latino, Hispanic, and Native American, representing many of our mixed racial community of the diversity of mothers that Postpartum Mamas serves. Olivia is always ready to assist any and all mothers in any emergency crisis with an open mind, offering solutions with an immediate plan of action, and non-judgmental heart. This has enabled many of our mothers to gain a sense of dignity and empowerment in their journeys of motherhood, mental health struggles, and their healing process.
Olivia holds a Bachelors of Arts in Human Development and working towards her Masters in Social Work & LCSW from the University of Washington.
"With God all things are possible." Mathew 19:26
Olivia Sheridan
Proud Mama
Executive Director/ Founder
(760) 407-7817

**Someone pasted data records at this point**
## BaSb3P (GGA-PBE)

Data for an optimized crystal structure of BaSb3P.

Unit cell a=5.3974 b=5.3974 c=5.3974 alpha=90.00 beta=90.00 gamma=90.00
Sites, in units of the cell vectors:
Ba: 0.0000 0.0000 0.0000
Sb: 0.0000 0.5000 0.5000
Sb: 0.5000 0.0000 0.5000
Sb: 0.5000 0.5000 0.0000
P: 0.5000 0.5000 0.5000
**The entry goes on**

President of Board
Ellie Dahl
Ellie Dahl has been recently named as our Board President and is now actively involved in supporting Postpartum Mamas to provide mental health support groups to mothers experiencing depression, anxiety and all mental health struggles. Ellie's esteemed background includes being a former founding member of the Aviara Women's Foundation which originated in1999 to benefit the cause of women and children. While serving on the Board of Directors, Ellie helped sponsor activities to raise money to support the Woman's Resource Center and Girls and Boys Club in Carlsbad, California. In 2001, Ellie was awarded the Women Who Mean Business Award issued by the San Diego Business Journal which honors women in San Diego on an annual basis for their business and volunteer achievements. While the Director of Human Resources at the Four Seasons Resort Aviara in Carlsbad, Ellie also received the Workplace Excellence Award issued by the Society for Human Resource Management for the Largest Employer Category in 2000.
Ellie obtained two Bachelor of Science degrees from Washington State University in Hospitality Management and Business Administration. Her business career has centered on Human Resources Management positions in the luxury, five star hotel business for over 30 years where she established herself as a collaborative, inspirational, and authentic senior executive, skilled in recruitment, training, benefits administration, negotiations, employee relations and employment law.
Ellie has also experienced being a single mother of two and the sacrifices of single motherhood that she had to make giving her a keen awareness & compassion for single mothers within Postpartum Mamas. Ellie enjoys being apart of assisting in the allocations of funding for many of our single mothers from our "Mamas Mental Health Fund." to help support and alleviate some of their life challenges.
Please join me in welcoming Ellie to contribute her expertise in leadership to PPM.
Ellie Dahl
President of the Board
(949) 230-1157

Vice President
Holly Alejo
Holly was a former founding member of Advocacy for students at Fremont School for the Deaf and Fremont School for the Blind while completing her internship for Chabot college in California. She is the founder for Paddleboarding excursions in Southern California with individuals without limbs, due to trauma or accidents, creating abilities for them to enhance their life through water therapy paddleboarding. Holly got her Bachelor's degree in business at California State University East Bay. Holly attended Quantum University learning advanced techniques for the process of brain, heart and mind coherence exercising the brain through a process of Metacognition and Neuroplasicity. She holds her Masters in Meditation where she gently leads others in the path of deep inner healing and empowers women to rebuild and create their new life moving through pain, transition, trauma, and healing. She is very active in volunteering for midwifery and the birthing process from prenatal to labor and delivery into the depths of Postpartum. She is an advocate for mothers fighting for custody in the judicial court system process as she is a single mother of two teenage sons, and left a marriage experiencing domestic violence herself. She knows what it’s like to have to get up and fight a battle every day to fight for dignity and freedom as an empowered woman and mother no matter the economical burdens and low access to resources which are faced in the process. Holly assists in valuable meditation techniques during our support groups for mothers, observes & participates in our California support group, and assists with the annual mental health healing annual PPM retreats as a Facility & Outreach Coordinator. She also is currently battling and surviving breast cancer and leads her life with hope and optimism no matter the circumstances. Holly comes from a diversified, culture and background, and is from Pacific Islander, Swedish, and Native American roots.
​Holly Alejo
Director Board of Director
(760) 277- 9361

Arturo Tisnado ("Bluewater")
My Spiritual Journey began with two events, one at birth and the other in my early childhood, what many people would describe as devastating but I know them as a gift. The first was when my innoscence was stripped from me and my soul and spirit physically fragmented by negative forces intending to prevent me from following my destiny. The second, from ages 2-6 I dealt with convulsions where I was treated as an experimental subject being stuffed with drugs and having electrical wires put on my temple with flashing lights that quickly lead to dying three times one after another. Both of these experiences are essential to acknowledge first because they were the catalyst that awakened my eternal power in the future to come home to power and wisdom in loving myself, thus paving way for my Souls destiny.
I was born and raised in San Diego, land of the Kumeyaay people in a neighborhood called Linda Vista where gang violence, drugs/alcohol abuse, and mental illness resided. My birth name is Arturo Tisnado and have one sibling, my brother Mario who I love very much. Growing up I remember being extremely emotionally sensitive and having a struggle to write, read, comprehend, and speak, due to the trauma my body and wellbeing endured from the drugs and procedures in the hospital.
This disadvantage made it very difficult to navigate through the educational system from kindergarten all the way through university. Even though I was extra emotionally sensitive and experienced hardship in school, I was a very happy child that loved to play, sing, laugh, and especially dance. My power place was my dreams, connection with animals, and in silence with myself and what lit up my playful spirit was sports, thanks to my father who quite drinking and decided to create this outlet for my brother and I so we'll stay away from gang activity or any other negative influence.
​In 6th grade, I met a man named Macedonio who brought an Indigenous non-profit to my school called, Circulo De Hombres - Circle Of Men as an after school program. At the first gathering, Macedonio planted a seed in my heart about identity, asking me and my hommies, "where do you come from? Are you Hispanic, Latino, Mexican, Mexican American, Indian, American Indian, Native, Indigenous and do you relate to any of these terms? When looking in the mirror all I saw was "Mexican” related to lowriders, food, music, and wanted to get tattoos, I did not know my identity. That day being a part of the first after school program, a fire was reignited in my soul and spirit to ask my family where our ancestral roots come from.
My mother ended up connecting me with my uncle Silvano - Indian Sam, who shared with me all the inspiring stories of him being a part of the American Indian Movement (AIM), important dates, and told me from grandparents bloodline through my mother, I am Indé, Apache Chiracahua, Yoeme (Yaqui), Ciré, and Mayan. When speaking these names of my people, this is when my ancestors found me and I found them. Being a part of Circle Of Men opened many doors such as, jobs working with youth, personal growth as a young man, and leadership through activism advocating for human rights and service giving back to my community to people less unfortunate. Through Circle Of Men I had the honor to participate in many Indigenous ceremonies which were a massive help in developing my mental, emotional, and spiritual growth.
A ceremony in particular that was foundational for my growth is called, Peace and Dignity Journey's (PDJ), a six month ceremonial prayer run dedicated to restoring peace, harmony, and love to Indigenous people/humanity, animals, and all sentient life. In 2007 I was fortunate to support this prayer and by 2008 I had the great honor and blessing to participate as a core runner and be representative of San Diego, to carry the prayers for the people from Chickaloon, Alaska - May 1st to El Salvador to September 21st. When coming back from PDJ I was a completely new person with different eyes and after seeing the devastation, pain, and trauma of all tribes who I connected with as family and their land, I decided to continue my education at San Diego City College to be be a voice for my Indigenous relatives and create resolutions, although the Universe had a whole anther plan for the future. By 2011 I applied to UCLA's boot camp and got accepted in 2012 and by 2015 I graduated with a B.A in Indigenous/American Indian Studies and a minor in agricultural sustainability through an Indigenous lens.
One highlight to acknowledge during my experience at UCLA is another life opening opportunity in completing my studies for three months on the island of Oa'hu through the Native American Study Abroad Program. During that program I received deep spiritual realizations feeling the the ancestors and land welcoming me, but had no clarity as to why. I completed my field research at a lo'i, agricultural farm where I connected intimately with the Kanaká Hawai’iti (Hawaiian) people who became family. After the program I invited my brother Mario to visit and we stayed on the island with an elder and shortly after got invited to the oldest Hawaiian ceremony on Big Island where I received the clarity right when I witnessed the ceremony and my brother and I ended up being adopted.
Quickly after graduating, I received an acceptance letter while being back home in San Diego from the Dean at UCLA stating that my proposal got accepted for a grant he created to implement wellness and community on campus. So headed back up to UCLA for two semesters where I facilitated co-ed restorative healing circles weekly as a safe space for students, faculty, and staff (welcoming all people) to connect deeper to their heart, to be listened to in compassion recognizing they're not alone, let go and heal what no longer serves there highest good, and to cultivate community. Was truly a gift to witness the depth of authenticity with everyone's precious heart and the love that spread all over campus. After leading healing circles at UCLA, I came back to San Diego for good, where I worked two jobs, one with inner city youth as a Youth Specialist in the San Diego Unified School District and second was an Art Instructor - in City Heights where I created the first multi-cultural program for ages k-6 that involved nature therapy, food education, creative writing, theater, and Indigenous Hip Hop.
About two years pass and I ended up giving my two weeks notice for both jobs, left my family, and prepared for another big leap in the unknown waters of my journey in May 2018 to venture to the island of Mú, Kaua'i. Here is where my prayers were acknowledged in asking for spiritual support for many years, because throughout my life random people wherever I go would share with me there traumas and life story and I was having so many metaphysical experiences that I truly needed guidance. Kau'i is where the depth of my spiritual training began in finding a teacher to guide me for one year in half in the forest from 4 am to midnight every day. I say the depth of my training because this is where I faced the darkest and rawest parts of myself from all the trauma I experienced throughout my life, especially as a child and previous life's, so that I can heal them and transform them back into light within.
Late November of 2019, my brother Mario and my other brother Black Shield came to rescue me from suicidal attempts and 2 years later was rescued again by my brother Mario in San Diego while being homeless from another situation in almost being kidnapped. In the year 2022, my life began to stabilize with my heart centered by getting back involved with my San Diego community. I was facilitating various healing workshops for children and adults, leading co-ed healing circles on the ocean for 8 months, and later was hired for 4 months as a Spiritual Caregiver in Colorado to help an elder come back to the light who was experiencing an exorcism while simultaneously help bring peace and balance to his daughters and wife. A year and half passes when I met a woman, but things did not end up working out and several months later she's pregnant.
Her and I did our best to maintain compassion, understanding, and gentle loving care for each other during this heavily emotional time - especially for her, but unfortunately by the 7th week she had a miscarriage of our baby girl Heart. After all that I've experienced and lessons learned, physically loosing a precious child - an angel of pure light that I cocreated was the most heart breaking and scariest moment in my life. I know in the core of my heart and being in all that I Am and I feel the mother does too, that Heart is not "dead" but alive walking gracefully in the purity of her radiant light by my side on this journey to help Gods plan. Later that year on the 8th of August when waking up, I heard a voice call me Bluewater very softly three times, and by the third time I had a vision since I was born until that precise moment telling me that I’ve always been Bluewater but it was not meant for me to receive my Soul until I fully loved myself, knew my power, and walked in my purpose.
I am Bluewater - a catalyst, visionary, and bridge for the New Earth Consciousness - here to carry out my sacred purpose and holly duty in Gods plan of restoration, preservation and longevity for all life and assist humanities ascension through self love and spiritual development. I've helped people (of all ages) in a multitude of ways, from arthritis, physical injuries, being a medium, suicide, sexual abuse, inner child, family counseling, and depression. I look back on my life in everything I've experienced no matter how turbulent or unbearable my trauma was and say, Thank You, knowing that it all contributed me coming back home to the essence in my personal power in loving myself and intentionally as well as gracefully preparing me to be fully equipped in balance within my wellbeing for my purpose on this earth. I feel more at peace, happy, balanced, and free in a state of loves devotion in pure bliss then ever in my life. Blessed Be!

Enrollment & Social Media Manager
Brandi Alvarez
Brandi Alvarez
Gig Harbor Facilitator & Social Media & Enrollment Manager -
My name is Brandi. I have two kids, and we have two fur babies. I’m
passionate about momming, from raising happy humans to being &
receiving support to and from other moms… it’s all part of the gig for
me if I have any chance at mental and emotional wellness. Investing in
a tribe of moms from all walks of life has been pivotal in treating my
postpartum depression.
Postpartum Mamas has provided the kind of
support that moms dream of. From the structured monthly meetings,
to the constant encouraging, positive, and supportive messages and
group posts, there is no stone left unturned.
Motherhood has transformed me into the person I’m meant to be…
good, bad, ugly, and indifferent. In 2018, I had my son Braxton. I’d
never experienced such intense joy and fear at the same time the way
I did the moment he was placed into my arms. The love was
overwhelming, and so was the responsibility of keeping my precious
boy safe, happy, and healthy. Talk about a humbling experience. I put
my brave poker face on while I secretly drowned in the feelings of
inadequacy and unworthiness. With decades of therapy in my head, I
put my hand out and asked for help. I knew I couldn’t get out of this
postpartum depression on my own.
As exciting as it was to
welcome our sweet baby girl to my family, I
was rushed by those same old feelings of inadequacy and
unworthiness. I knew these feelings, and I knew it wasn’t real, it was
just the PPD having its way with me again. But I couldn’t get it, and I
hit an all time low in the pits of depression. Here I am now in 2024
climbing out of PPD again, but this time I have a tribe of women
surrounding me to pick me up when I’m down. I couldn't be more honored to now serve as a Facilitator for Postpartum Mamas for a second year now.